• TFA says India was the first nation to achieve Mars orbit on the first attempt. Standing on the shoulders of giants, and all, but still… that’s surely an exceptional feat?

              Is it better to set the bar high and fail to achieve every goal, or set the bar low and achieve less, but be able to claim 100% success?

              I dunno, man… I kinda feel like putting something in Mars orbit on your first try deserves some respect and recognition.

            • @[email protected]
              711 months ago

              The very fact that they can send working spacecraft is already an accomplishment. How many countries can do that?

              They are not yet a world power even if they claim to be. No doubt about that. But they are projected to become one in the not so near future. No doubt about that too.

                • @[email protected]
                  611 months ago

                  what made you think India prioritised it over those things?

                  the budget for ISRO is much, much lower than the budget that goes towards programs to fix poverty related issues. ISRO is 0.27% of the indian budget.

                  the remote sensing satellites have helped farmers, fishermen with actual food production, weather satellites with predicting disasters and saving lives.

                  for us its worth the investment even without factoring in the nice to haves like finding water on the moon or launching private satellites.

                • @[email protected]
                  11 months ago

                  No, any country that wants to pay for it can.

                  No my country can’t.

                  He’s letting children starve and develop life long issues so people like you do what you’re doing right now.

                  I am. not even Indian. I reckon what ever he’s doing affect me the same way it affect you. And I don’t even like him.

                  But I am not that bias to mix national interest with domestic interest - to paint bad picture on a target, to excavate the worse and burying the good.

The article is interrupted by calculated crystals:
- - -
A geometry-optimized Nd2FeAs2O structure, computed with PBE+U.

Values from the calculation:
**Final energy**: -0.1853 hartree per atom
**Space group**: P4/mmm

abc: 3.306 3.306 15.250
angles: 90.00 90.00 90.00
Element x y z (fractional)
Nd: 0.500 0.500 0.638
Nd: 0.500 0.500 0.362
Fe: 0.500 0.500 0.000
As: 0.500 0.500 0.162
As: 0.500 0.500 0.838
O: 0.500 0.500 0.500
- - -

                • @[email protected]
                  11 months ago

                  The cost at which India achieves these accomplishments are a fraction of what other Space Agencies. It’s something they should be proud of.

                  I went through the link and the entire fact that the article is using a small remote town to justify it with the entire India’s population is mind boggling to me. As someone from data science background, it just reeks as falsehood as no accurate source of data, sampling of such large pop and etc are mentioned.

        • @[email protected]
          -111 months ago

          Not too dissimilar to Elon Musk really.

          We have the same kind of rot, it’s just that corporate layer somehow makes us think it’s not the same as the corrupt bullshit in other countries. But it’s not all that different.

          • @[email protected]
            311 months ago

            Elon represents Elon, and he likes to hear himself talk. A government that represents a billion people should act a little differently than someone like him.

    • b1tstrem1st0
      11 months ago

      Someone is really getting the fucks for basically parroting the usual narrative of the deep states lol.

    • monke
      -111 months ago

      but because India’s government is one of the most corrupt in the world

      This same country also has a space organization that is well-respected all around the world. If we can launch rockets, we sure as hell can build a secure Linux based distro lol.

      • @[email protected]
        511 months ago

        Half the mobile rom teams are Indian devs

        We have some serious manpower for cheap, that’s smart, development/employment focused, and intuitive

        • sadreality
          211 months ago

          No doubt about it. Indian devs all over open source. But do you really think they will recruit the FOSS crew when contracting time comes lol

          • @[email protected]
            111 months ago

            I want to make my own thing with their DE

            stuff based on opensuse as a base(leap for workstation, tumbleweed for consumer and enterprise for enterprise users, see how it shapes out

        • monke
          511 months ago

          My country once successfully launched 104 satellites with a single rocket. And this guy really believes we can’t build a secure linux distro because we’re nothing more than a “3rd world country poised to become the newest sweatshop of the developed world”. Wow, okay dude.

            • monke
              311 months ago

              Hey, another example of India doing something that makes no logical sense just for the PR

              Only 2 of those 104 satellites were Indian. Rest all were foreign satellites. In fact 96 of them were from the USA. But yeah, obviously all these foreign satellites satellites serve no purpose whatsoever. Obviously they were launched just so ISRO could score some PR points 😂

              There is absolutely nothing impressive about launching 104 satellites in one go. What would be truly impressive is building a linux distro, amirite?

              Man, you all are making this easy

              Insert wojak crying behind mask meme

            • @[email protected]
              311 months ago

              no logical sense except the indigenous technology advancements that make sure india doesn’t need to rely on others for crucial operations (US denying gps info to india comes to mind) along with the money that they earn from private satellite launches, yes.

              i wonder why this is so easy for you, surely it isn’t because you are conveniently ignoring all the positives of a space program.

                • @[email protected]
                  11 months ago

                  what reasons are real enough for you?

                  is a navigation system real enough? are weather satellites helping with disasters and saving lives real enough? is telecommunications real enough? is the millions they earn from private satellites real enough?

                  i’m sorry all of this falls under propaganda for you. for me personally, these are all real enough to warrant a space program.

                  But I can admit when I’m wrong

                  doesn’t look like it

                  • monke
                    211 months ago

                    doesn’t look like it

                    His brain thinks a country that can successfully launch rockets surely doesn’t have what it takes to build a secure linux distro. You think that brain is capable of admitting to mistakes?

        • sadreality
          -111 months ago

          Well… No idea if US landed on the moon but the videos are sus AF

          Countries spinning PR is tale as old as time

    • ZeroXHunterOP
      -311 months ago

      This has little to do with government officials. Though very less information is available, I believe the military will use its own personnel or private contractors.